Exercise >
Please say how many lines of the notes further down hold the word "frontier", as a bare number.
Data >
No. 1
C35H45N10O2PPd | wB97M-V/def2-TZVPD

Results
* frontier orbital gap (spin up / spin down): 5.033 / 6.684 eV
* calculated total energy: -2527.95958 a.u.
* lowest unoccupied orbital energy (spin up / spin down): -0.58 / -1.18 eV
* HOMO (spin up / spin down): -5.6 / -7.9 eV

Geometry as ORCA input:
```
! wB97M-V def2-TZVPD RIJCOSX def2/J DEFGRID3
* xyz 0 3
Pd -0.6019 -0.4555 0.8568
C -2.3393 3.6212 1.4458
C -2.0077 2.4984 0.7101
N -2.0759 1.2787 1.2309
C -2.4671 1.1752 2.5116
C -2.7896 2.3193 3.2378
N -2.7324 3.5341 2.7155
C -2.4706 -0.1792 3.0930
C -3.1862 -0.5152 4.2119
C -3.1004 -1.8312 4.7439
C -2.3111 -2.7329 4.0572
C -1.6490 -2.3718 2.8781
N -1.7220 -1.0855 2.4277
C -0.9157 -3.2698 2.0419
C -0.7530 -4.6454 2.3100
N -0.1422 -5.4781 1.5073
C 0.3443 -4.9547 0.3576
C 0.2389 -3.6156 0.0768
N -0.3630 -2.7469 0.8988
C -3.8264 -2.2124 5.9690
C -3.8997 -3.5355 6.4158
C -4.5924 -3.8348 7.5750
N -5.2211 -2.9304 8.3215
C -5.1590 -1.6716 7.9006
C -4.4879 -1.2684 6.7587
H -2.2862 4.6151 1.0194
H -1.6835 2.5611 -0.3213
H -3.0727 2.2538 4.2813
H -3.8380 0.2199 4.6569
H -2.1951 -3.7408 4.4221
H -1.1405 -5.0720 3.2287
H 0.8303 -5.6396 -0.3241
H 0.6675 -3.2169 -0.8314
H -3.4390 -4.3479 5.8730
H -4.6513 -4.8593 7.9268
H -5.6759 -0.9429 8.5162
H -4.4829 -0.2172 6.5097
C 2.4671 -1.1583 1.1071
O 1.9639 -0.3444 2.1761
C 0.7239 0.1245 2.1934
O 0.3723 0.9253 3.0057
H 3.5214 -0.9084 1.0099
H 1.9472 -0.9289 0.1782
H 2.3628 -2.2107 1.3656
N 0.1731 0.3447 -0.7999
P 1.1421 0.8043 -1.8872
N 0.2906 1.0781 -3.3107
C 0.9866 1.4342 -4.5359
C 0.1014 2.3096 -5.4256
C -1.3365 1.7527 -5.5124
C -1.4007 0.3351 -4.9484
C -0.9769 0.3438 -3.4845
N 2.4657 -0.2068 -2.2197
C 3.7620 0.1565 -2.7632
C 4.0559 -0.5118 -4.1085
C 3.8141 -2.0192 -4.0407
C 2.3967 -2.2916 -3.5410
C 2.2139 -1.6389 -2.1733
N 1.9700 2.2807 -1.7262
C 2.8451 2.3649 -0.5444
C 2.1103 2.9895 0.6394
C 1.7486 4.4521 0.3302
C 1.6891 4.6862 -1.1853
C 1.1217 3.4777 -1.9180
H 1.2946 0.5427 -5.0998
H 1.8976 1.9721 -4.2681
H 0.5561 2.3582 -6.4176
H 0.0777 3.3256 -5.0283
H -1.6926 1.7670 -6.5435
H -2.0161 2.3804 -4.9308
H -0.7508 -0.3245 -5.5290
H -2.4123 -0.0664 -5.0211
H -0.9001 -0.6810 -3.1081
H -1.7510 0.8376 -2.8890
H 4.5449 -0.1476 -2.0506
H 3.8039 1.2392 -2.8662
H 5.0952 -0.3065 -4.3767
H 3.4200 -0.0747 -4.8829
H 4.5288 -2.4692 -3.3432
H 3.9764 -2.4773 -5.0183
H 2.2051 -3.3656 -3.4694
H 1.6699 -1.8646 -4.2394
H 2.9022 -2.1232 -1.4617
H 1.1920 -1.7656 -1.8160
H 3.7277 2.9636 -0.7939
H 3.1914 1.3625 -0.2931
H 2.7088 2.9128 1.5493
H 1.2008 2.4098 0.7931
H 2.4850 5.1280 0.7698
H 0.7839 4.6919 0.7837
H 2.6916 4.8882 -1.5699
H 1.0762 5.5591 -1.4156
H 1.0598 3.6941 -2.9871
H 0.0996 3.2867 -1.5673
*
```
Done >
1